Print all of the material underneath without additions, please.

<<<
ScSi | meta-GGA r2SCAN | relaxed

Cell: 3.994 9.907 3.667 Å, 90.00 90.00 90.00°
Space group Cmcm (No. 63)
Symmetry-distinct sites (fractional):
Sc1 0.000 0.139 0.250 (multiplicity 4)
Si1 0.000 0.419 0.250 (multiplicity 4)

The calculation puts the total energy at -87.56 eV/cell. As for the crystal system: orthorhombic. Its total magnetization is 0.000 μB per cell.

----------

First-principles (r2SCAN) data for crystalline Sc11Ir4 at its relaxed geometry, as listed in Materials Project.

For the formation energy from the elements, the calculation gives -0.7533 eV/atom. Its crystal system is cubic. The value obtained for the magnetization is 1.276 μB/f.u. The calculated volume is 2390.3 Å³ per cell.

The space group is Fm-3m (No. 225) and the conventional cell measures 13.371, 13.371 and 13.371 Å, with angles of 90.00, 90.00 and 90.00 degrees. The asymmetric unit holds Sc at (0.000, 0.000, 0.198), Sc at (0.117, 0.117, 0.383), Sc at (0.157, 0.157, 0.157), Ir at (0.000, 0.000, 0.000), Ir at (0.000, 0.000, 0.500) and Ir at (0.000, 0.250, 0.250).

---

First-principles (r2SCAN) data for crystalline ScIr2 at its relaxed geometry, as listed in Materials Project.

For the formation energy from the elements, the calculation gives -0.8229 eV/atom. Its crystal system is cubic. The value obtained for the magnetization is 0.000 μB/f.u. The calculated volume is 400.9 Å³ per cell.

The space group is Fd-3m (No. 227, origin choice 2) and the conventional cell measures 7.373, 7.373 and 7.373 Å, with angles of 90.00, 90.00 and 90.00 degrees. The asymmetric unit holds Sc at (0.125, 0.125, 0.125) and Ir at (0.000, 0.000, 0.500).

---

First-principles (r2SCAN) data for crystalline ScIr at its relaxed geometry, as listed in Materials Project.

For the formation energy from the elements, the calculation gives -1.1533 eV/atom. Its crystal system is cubic. The value obtained for the magnetization is 0.000 μB/f.u. The calculated volume is 33.3 Å³ per cell.

The space group is Pm-3m (No. 221) and the conventional cell measures 3.218, 3.218 and 3.218 Å, with angles of 90.00, 90.00 and 90.00 degrees. The asymmetric unit holds Sc at (0.000, 0.000, 0.000) and Ir at (0.500, 0.500, 0.500).

---

First-principles (r2SCAN) data for crystalline Sc6Te2Ir at its relaxed geometry, as listed in Materials Project.

For the formation energy from the elements, the calculation gives -0.9080 eV/atom. Its crystal system is hexagonal. The value obtained for the magnetization is 0.001 μB/f.u. The calculated volume is 200.1 Å³ per cell.

The space group is P-62m (No. 189) and the conventional cell measures 7.7669, 7.7669 and 3.8301 Å, with angles of 90.00, 90.00 and 120.00 degrees. The asymmetric unit holds Sc at (0.0000, 0.2409, 0.0000), Sc at (0.0000, 0.6130, 0.5000), Te at (0.3333, 0.6667, 0.0000) and Ir at (0.0000, 0.0000, 0.5000).

---

First-principles (r2SCAN) data for crystalline Si4Ir3 at its relaxed geometry, as listed in Materials Project.

For the formation energy from the elements, the calculation gives -0.7148 eV/atom. Its crystal system is orthorhombic. The value obtained for the magnetization is 0.000 μB/f.u. The calculated volume is 407.9 Å³ per cell.

The space group is Pnma (No. 62) and the conventional cell measures 18.929, 3.704 and 5.818 Å, with angles of 90.00, 90.00 and 90.00 degrees. The asymmetric unit holds Si at (0.050, 0.250, 0.026), Si at (0.091, 0.250, 0.577), Si at (0.144, 0.750, 0.112), Si at (0.230, 0.250, 0.283), Ir at (0.031, 0.750, 0.304), Ir at (0.174, 0.250, 0.894) and Ir at (0.176, 0.750, 0.499).

---

First-principles (r2SCAN) data for crystalline Si2Ir at its relaxed geometry, as listed in Materials Project.

For the formation energy from the elements, the calculation gives -0.5404 eV/atom. Its crystal system is cubic. The value obtained for the magnetization is 0.000 μB/f.u. The calculated volume is 183.6 Å³ per cell.
>>>

ScSi | meta-GGA r2SCAN | relaxed

Cell: 3.994 9.907 3.667 Å, 90.00 90.00 90.00°
Space group Cmcm (No. 63)
Symmetry-distinct sites (fractional):
Sc1 0.000 0.139 0.250 (multiplicity 4)
Si1 0.000 0.419 0.250 (multiplicity 4)

The calculation puts the total energy at -87.56 eV/cell. As for the crystal system: orthorhombic. Its total magnetization is 0.000 μB per cell.

----------

First-principles (r2SCAN) data for crystalline Sc11Ir4 at its relaxed geometry, as listed in Materials Project.

For the formation energy from the elements, the calculation gives -0.7533 eV/atom. Its crystal system is cubic. The value obtained for the magnetization is 1.276 μB/f.u. The calculated volume is 2390.3 Å³ per cell.

The space group is Fm-3m (No. 225) and the conventional cell measures 13.371, 13.371 and 13.371 Å, with angles of 90.00, 90.00 and 90.00 degrees. The asymmetric unit holds Sc at (0.000, 0.000, 0.198), Sc at (0.117, 0.117, 0.383), Sc at (0.157, 0.157, 0.157), Ir at (0.000, 0.000, 0.000), Ir at (0.000, 0.000, 0.500) and Ir at (0.000, 0.250, 0.250).

---

First-principles (r2SCAN) data for crystalline ScIr2 at its relaxed geometry, as listed in Materials Project.

For the formation energy from the elements, the calculation gives -0.8229 eV/atom. Its crystal system is cubic. The value obtained for the magnetization is 0.000 μB/f.u. The calculated volume is 400.9 Å³ per cell.

The space group is Fd-3m (No. 227, origin choice 2) and the conventional cell measures 7.373, 7.373 and 7.373 Å, with angles of 90.00, 90.00 and 90.00 degrees. The asymmetric unit holds Sc at (0.125, 0.125, 0.125) and Ir at (0.000, 0.000, 0.500).

---

First-principles (r2SCAN) data for crystalline ScIr at its relaxed geometry, as listed in Materials Project.

For the formation energy from the elements, the calculation gives -1.1533 eV/atom. Its crystal system is cubic. The value obtained for the magnetization is 0.000 μB/f.u. The calculated volume is 33.3 Å³ per cell.

The space group is Pm-3m (No. 221) and the conventional cell measures 3.218, 3.218 and 3.218 Å, with angles of 90.00, 90.00 and 90.00 degrees. The asymmetric unit holds Sc at (0.000, 0.000, 0.000) and Ir at (0.500, 0.500, 0.500).

---

First-principles (r2SCAN) data for crystalline Sc6Te2Ir at its relaxed geometry, as listed in Materials Project.

For the formation energy from the elements, the calculation gives -0.9080 eV/atom. Its crystal system is hexagonal. The value obtained for the magnetization is 0.001 μB/f.u. The calculated volume is 200.1 Å³ per cell.

The space group is P-62m (No. 189) and the conventional cell measures 7.7669, 7.7669 and 3.8301 Å, with angles of 90.00, 90.00 and 120.00 degrees. The asymmetric unit holds Sc at (0.0000, 0.2409, 0.0000), Sc at (0.0000, 0.6130, 0.5000), Te at (0.3333, 0.6667, 0.0000) and Ir at (0.0000, 0.0000, 0.5000).

---

First-principles (r2SCAN) data for crystalline Si4Ir3 at its relaxed geometry, as listed in Materials Project.

For the formation energy from the elements, the calculation gives -0.7148 eV/atom. Its crystal system is orthorhombic. The value obtained for the magnetization is 0.000 μB/f.u. The calculated volume is 407.9 Å³ per cell.

The space group is Pnma (No. 62) and the conventional cell measures 18.929, 3.704 and 5.818 Å, with angles of 90.00, 90.00 and 90.00 degrees. The asymmetric unit holds Si at (0.050, 0.250, 0.026), Si at (0.091, 0.250, 0.577), Si at (0.144, 0.750, 0.112), Si at (0.230, 0.250, 0.283), Ir at (0.031, 0.750, 0.304), Ir at (0.174, 0.250, 0.894) and Ir at (0.176, 0.750, 0.499).

---

First-principles (r2SCAN) data for crystalline Si2Ir at its relaxed geometry, as listed in Materials Project.

For the formation energy from the elements, the calculation gives -0.5404 eV/atom. Its crystal system is cubic. The value obtained for the magnetization is 0.000 μB/f.u. The calculated volume is 183.6 Å³ per cell.